108 U.S. 228

2 S.Ct. 482

27 L.Ed. 711


April 2, 1883.

[Syllabus from page 228 intentionally omitted]

[Statement of Case from pages 228-229 intentionally omitted]

W. Y. C. Humes, for plaintiff in error.

[Argument of Counsel from pages 229-230 intentionally omitted]

Sol. Gen. Phillips, for defendant in error.


This is a suit to rec


over taxes upon dividends and interest paid by the Memphis & Charleston Railroad Company between the first day of July, 1862, and the first day of December, 1865. The items which go to make up the amount of the judgment brought here for review are thus stated in the verdict of the jury.


'(1) On dividend declared March 17, 1863, a tax of $1,625.45, being 3 per centum on $57,515.60, the value in legal currency, when paid, of $143,789, the whole amount of said dividend then paid in confederate money. (2) On interest coupons of said defendant falling due November 1, 1862, May 1, 1863, November 1, 1863, and May 1, 1864, a tax of $819.17, being 3 per cent. on $27,326.55, the value, when paid, in legal currency of $88,935, the portion of such coupons paid in confederate money; and the further tax of $2,274.45 on the remaining maining portion of said coupons falling due as aforesaid, being 3 per cent. on $75,815.83, such remaining portion of said coupons. (3) On interest coupons of said defendant falling due November 1, 1864, May 1, 1865, and November 1, 1865, a tax of $6,793.50, the same being 5 per centum on $135,870, the amount of said last-named coupons.' The questions presented by the bill of exceptions may be separated into three classes, as follows:


(1) Those which relate to dividends and interest paid in confederate money and during the late civil war; (2) those which relate to the payments of interest after the close of the war; and, (3) those which relate to an alleged compromise between the United States and the railroad company under date of September 24, 1870.


These will be considered in their order.


1. As to payments in confederate money. Upon this branch of the case the facts are these:


At the beginning of the war the Memphis & Charleston Railroad Company was the owner of an equipped line of railroad extending from Memphis, in the state of Tennessee, through the states of Tennessee, Mississippi, and Alabama, to Stevenson, in the last-named state. It was divided into two divisions,—one known as the Eastern Division, extending from Stevenson westward to Bear Creek, on the line between Mississippi and Alabama, having its principal office at Huntsville, Alabama; and the other, known as the Western Division, extending from Bear Creek to Memphis, and having its principal office at Memphis. On the eleventh of April, 1862, the military forces of the United States took possession of the Eastern Division of the road, with all its rolling stock and equipment, and kept it until the close of the war. The Western Division was run by the officers of the company, under the control of the military superintendent of the confederate authorities, until the sixth of June, 1862, when it was taken possession of by the United States. Three days before the capture of Memphis by the military forces of the United States, the officers and rolling stock of the Western Division were moved south within the confederate lines, by command of the confederate military authorities, and were kept there until the end of the war. During this period the rolling stock was hired by the officers of the company to other railroad companies, and in this way a large amount in confederate treasury notes came into the hands of the officers of the company within the confederate lines. On the seventeenth of March, 1863, a resolution was passed within the confederate lines declaring a dividend of 4 per cent. on the capital stock, payable in confederate treasury notes on the fifteenth of April. Under this resolution payments were made to the amount stated in the verdict. The confederate money used to pay the coupons, as stated in the verdict, was all obtained from the hire of the rolling stock within the confederate lines.


Upon this state of facts the court instructed the jury, in substance, that the United States were entitled to such a verdict as was rendered, and the question presented here is, in effect, whether that instruction was right.


At the times when the dividend and interest now in question were paid, the entire railroad of the company and its two principal offices were within the lines of the military forces of the United States. The act of 1862, c. 119, which provided for the tax, was not passed until after the United States had established their military possession of the territory traversed by the railroad, and within which the principal offices were located. The corporation was, therefore, subject to the actual governmental control of the United States, and the laws of the United States were both operative upon and enforceable against it. No one will deny that the internal-revenue laws were intended to reach all persons and corporations within the dominion of the United States against whom they could for the time being be enforced by judicial process or otherwise. They were broad enough in their language to embrace all, and could be limited only in their operation by the power of the United States to enforce them. Clearly, then, if this dividend had been declared, and the dividend and interest paid at either of the principal offices of the company, or within the military lines of the United States, the taxes sued for would have been recoverable, notwithstanding the payments were made out of earnings derived from the use of property which had been taken inside the lines of the enemy. Thus the question now to be determined seems to be whether the company is exempt from the tax, because the resolution declaring the dividend was adopted within the confederate lines, and the payments, on account of which the taxes are demanded, were actually made there.


In Ry. Co. v. Collector, 100 U. S. 595, followed at the present term in Eric Ry. Co. v. U. S.,* it was held that the internal-revenue tax on interest and dividends was an excise tax on the business of corporations, to be paid by the corporations out of their earnings, income, and profits. The payments made in this case were for dividends to stockholders and interest to bondholders out of the earnings, income, and profits of the corporation in its business. By means of the dividend the surplus earnings were distributed to the stockholders, and the debts of the company were discharged to the extent of the interest paid. In this way the earnings on the inside of the confederate lines were made available to the corporation, which was subject to the actual control of the United States, and bound for the payment of all internal-revenue taxes chargeable by law against it. To our minds it is a matter of no importance that the income came from property which was within confederate territory. The property, although within the confederate lines, belonged to the company, and the income derived from its use was actually paid out by the company in dividends to stockholders, and to discharge the corporate debts for interest. We think it would hardly be claimed that if a private individual, living in one of the loyal states during the war, derived an income, which he actually reduced to possession, or used in the payment of debts, from property in confederate territory, he would be exempt from the income tax imposed on him by the internal-revenue laws, because of the source from which his income was derived. But, if he would not be, it is difficult to see how this corporation is. In both cases the tax is in legal effect on the income of persons subject to the actual dominion and control of the United States. The tax is payable by the person because of his income, according to its amount, and without any reference to the way in which it was obtained.


Under the instructions which were given the jury, the verdict was only for the taxes on the value of the confederate treasury notes in legal currency at the times the dividend and interest were paid. In this way the company has only been charged with an income estimated in lawful money. Without, therefore, considering in detail the particular instructions given to the jury or refused as stated in the bill of exceptions, it is sufficient to say that, upon the undisputed facts, it would have been proper for the court to have directed the verdict for the United States which was given in this branch of the case.


2. As to the payments of interest not made in confederate notes notes. All these payments were made after the close of the war, and there is no pretense that they were made out of earnings or income. The statement in the bill of exceptions is that they were paid 'either in cash or in second-mortgage bonds of the defendant company at a discount, at the option of the holder.' As to this the court instructed the jury as follows:

Below is a geometry-optimized Ho4Rh structure, with properties calculated at the PBE-GGA level. Values from VASP.

Quantum ESPRESSO input file:
```
&SYSTEM
  ibrav = 0, nat = 5, ntyp = 2
/
ATOMIC_SPECIES
Ho 164.93 Ho.upf
Rh 102.91 Rh.upf
CELL_PARAMETERS angstrom
5.3735 0.0000 0.0000
0.0000 5.3735 0.0000
0.0000 0.0000 5.3735
ATOMIC_POSITIONS angstrom
Ho 0.0000 0.0000 0.0000
Ho 0.0000 2.6868 2.6868
Ho 2.6868 0.0000 2.6868
Ho 2.6868 2.6868 0.0000
Rh 2.6868 2.6868 2.6868
```

Density of states at the Fermi level in states/eV/cell: 7.7
Volume in Å³/cell: 155.16
Energy relative to the lowest polymorph listed for this composition in meV/atom: 144
Formation enthalpy at 0 K in meV per atom: -220
E_tot in eV/atom: -5.352

Below is a geometry-optimized Ho3Rh structure, with properties calculated at the PBE-GGA level. Values from VASP.

Quantum ESPRESSO input file:
```
&SYSTEM
  ibrav = 0, nat = 4, ntyp = 2
/
ATOMIC_SPECIES
Ho 164.93 Ho.upf
Rh 102.91 Rh.upf
CELL_PARAMETERS angstrom
3.3956 0.0000 0.0000
0.0000 3.6462 0.0000
0.0000 0.0000 8.9551
ATOMIC_POSITIONS angstrom
Ho 0.0000 0.0000 0.0000
Ho 0.0000 1.8231 3.0409
Ho 1.6978 1.8231 6.4274
Rh 1.6978 0.0000 4.3592
```

Density of states at the Fermi level in states/eV/cell: 4.7
Volume in Å³/cell: 110.87
Formation enthalpy at 0 K in meV per atom: -223
E_tot in eV/atom: -5.494


'The defendant's counsel insists that a portion of the interest on which a tax is claimed by the plaintiffs was funded in second-mortgage bonds of the company, and that such funding did not amount to a payment of such interest. If you find that any of the interest on the bonds of the defendant on which a tax is claimed in this suit was so funded, and that it was optional with the holders of such interest coupons to have the same paid in cash or funded in second-mortgage bonds at a discount, I charge you that if such holders of interest coupons took second-mortgage bonds in preference to the cash, that it did amount to a payment, and the plaintiffs would be entitled to recover the tax claimed on the amount so funded.'

And again:


'It is in proof that some of the coupons were not paid in cash, but were funded in second-mortgage bonds. It appears that the creditor had his option to take payment in cash, or take these new bonds at a certain agreed discount. It was, therefore, substantially a payment in cash, and a reinvestment of the amount in second-mortgage bonds. This can constitute no defense to the suit.'


In this, we think, there was error. Although the tax is imposed on interest paid, the evident intention of congress was to tax only such payments as were either in fact or in legal effect made from the income. As was said in Railroad Co. v. Collector, supra, 'the tax * * * is essentially an excise on the business of the class of corporations mentioned in the statute. The section is a part of a system of taxing incomes, earnings, and profits adopted during the late war, and abandoned as soon after the war was ended as it could safely be done.' Under ordinary circumstances, it will be conclusively presumed that payments of interest were made from earnings, but when it appears that at the end of a civil war, during which interest had fallen in arrear, and earnings had been substantailly suspended, the company, in reorganizing its affairs for future business, either funded its past-due coupons in a new issue of bonds, or paid them from the proceeds of the sales of new bonds, no such presumption can arise, and if the facts are established they will constitute a complete defense to a suit for the recovery of a tax charged on such payments of interest. Any other construction would be in violation of the whole spirit and purpose of the statute. The bondholder would undoubtedly be taxable for his income derived in that way, but the payment would not be one upon which the company could be taxed.


3. As to the alleged compromise. Without recapitulating the facts connected with this part of the case, it is sufficient to say that in all the correspondence which preceded the payment of the money on the twenty-fourth of September, 1870, and in the receipt given for the money when paid, reference was had only to the payments of interest maturing from May, 1866, to July, 1869. It was not erroneous, therefore, for the court to exclude all testimony showing a different understanding on the part of the officers of the company, and to instruct the jury that the legal effect of the papers in evidence was to confine the compromise to the claims of the United States for taxes and penalties growing out of the interest maturing between the dates specified in the receipt of the collector. It nowhere appears that the officers of the United States had any knowledge of the payments, either of interest or dividends, which had been made at earlier dates.


There are other assignments of error, but those already considered dispose of the entire case in a way to render the others immaterial on another trial.


The judgment is reversed, and the cause remanded for such further proceedings, not inconsistent with this opinion, as justice may require.


1 SUP. CT. REP. 223.